Entries.
<<<
Record 1
{
  "formula": "C55H67F15N3O11S2",
  "method": "the ωB97M-V functional and the def2-TZVPD basis",
  "elements": ["C", "C", "C", "C", "C", "C", "C", "C", "C", "C", "C", "C", "C", "S", "C", "S", "N", "C", "C", "C", "C", "C", "C", "C", "C", "C", "C", "C", "C", "N", "N", "O", "C", "C", "C", "C", "C", "C", "C", "C", "C", "H", "H", "H", "H", "H", "H", "H", "H", "H", "H", "H", "H", "H", "H", "H", "H", "H", "H", "H", "H", "H", "H", "H", "H", "H", "H", "H", "H", "H", "H", "H", "H", "H", "H", "H", "H", "H", "H", "H", "H", "H", "H", "C", "C", "O", "C", "O", "C", "F", "F", "F", "H", "H", "H", "H", "H", "C", "C", "O", "C", "O", "C", "F", "F", "F", "H", "H", "H", "H", "H", "C", "C", "O", "C", "O", "C", "F", "F", "F", "H", "H", "H", "H", "H", "C", "C", "O", "C", "O", "C", "F", "F", "F", "H", "H", "H", "H", "H", "C", "C", "O", "C", "O", "C", "F", "F", "F", "H", "H", "H", "H", "H"],
>>>
Assignment.
Return every line further up that contains the word "def2-TZVPD".
Reply.
  "method": "the ωB97M-V functional and the def2-TZVPD basis",